Material:
# 1
Compound: SrAg3Sb2
Source: Alexandria via LeMat-Bulk
Functional: PBE-GGA
Structure: relaxed

The structure in POSCAR format:
```
SrAg3Sb2
1.0
4.613 0.000 0.000
-2.306 8.860 0.255
0.000 -3.767 7.321
Ag Sb Sr
6 4 2
Cartesian
2.306 -0.761 4.996
0.000 5.854 2.580
0.000 -0.543 3.019
2.306 5.636 4.557
2.306 1.688 3.478
0.000 3.405 4.098
0.000 5.474 6.149
2.306 4.172 2.136
2.306 -0.381 1.427
0.000 0.921 5.440
2.306 2.867 7.042
0.000 2.226 0.534
```

Summary:
crystal system = monoclinic
ΔE to the lowest computed polymorph = 0.000 eV per atom
formation energy without anion corrections = -0.34 eV per atom


# 2
Compound: RbHf4Se8
Source: Alexandria via LeMat-Bulk
Functional: PBE-GGA
Structure: relaxed

The structure in POSCAR format:
```
RbHf4Se8
1.0
6.838 0.000 3.118
2.708 6.279 3.118
-0.287 -0.189 9.685
Se Hf Rb
8 4 1
Cartesian
5.372 1.271 10.887
5.964 1.661 5.034
3.887 4.819 5.034
1.933 1.271 9.319
7.326 4.819 6.602
3.295 4.429 10.887
6.713 4.416 12.448
2.546 1.675 3.474
3.419 0.000 1.559
0.000 0.000 0.000
4.773 3.139 3.118
1.354 3.139 1.559
4.629 3.045 7.961
```

Summary:
crystal system = trigonal
ΔE to the lowest computed polymorph = 0.000 eV per atom
formation energy without anion corrections = -1.41 eV per atom


# 3
Compound: YAlZn2Cu4
Source: Alexandria via LeMat-Bulk
Functional: PBE-GGA
Structure: relaxed

The structure in POSCAR format:
```
YAlZn2Cu4
1.0
4.198 0.000 0.000
2.099 3.635 0.000
2.099 1.212 8.160
Cu Y Al Zn
4 1 1 2
Cartesian
2.099 1.212 4.973
4.198 2.423 6.498
6.296 3.635 3.187
4.198 2.423 1.661
0.000 0.000 0.000
4.198 2.423 4.080
6.296 3.635 5.949
2.099 1.212 2.211
```

Summary:
crystal system = trigonal
ΔH_f (0 K) = -184 meV per atom


# 4
Compound: Pm8Bi5Te
Source: Alexandria via LeMat-Bulk
Functional: PBE-GGA
Structure: relaxed

The structure in POSCAR format:
```
Pm8Bi5Te
1.0
7.849 0.000 -2.707
-3.913 6.768 -2.798
-0.024 0.000 8.303
Pm Bi Te
8 5 1
Cartesian
-1.960 5.079 1.871
-1.930 5.046 -2.295
1.394 4.106 -1.080
1.361 6.024 3.090
1.118 1.722 1.714
5.050 1.689 0.339
7.277 0.744 3.087
3.342 2.662 4.466
6.372 2.518 -2.715
3.453 5.915 -2.755
3.913 0.000 2.798
2.446 0.852 -1.346
3.427 4.250 1.403
-0.012 3.384 4.151
```

Summary:
crystal system = tetragonal
formation energy without anion corrections = -0.88 eV per atom


# 5
Compound: CuNi2As
Source: Alexandria via LeMat-Bulk
Functional: PBE-GGA
Structure: relaxed

The structure in POSCAR format:
```
CuNi2As
1.0
-3.631 -6.088 2.921
-1.801 -7.353 1.213
-1.012 -6.586 3.792
As Cu Ni
1 1 2
Cartesian
-1.611 -5.007 1.981
-4.833 -15.020 5.944
-3.243 -10.079 3.988
-6.423 -19.962 7.900
```

Summary:
crystal system = trigonal
ΔH_f (0 K) = 75 meV per atom


# 6
Compound: CaSi3Pb
Source: Alexandria via LeMat-Bulk
Functional: PBE-GGA
Structure: relaxed

The structure in POSCAR format:
```
CaSi3Pb
1.0
-4.570 0.710 -2.601
-2.658 -2.050 4.109
-0.456 4.842 2.121
Si Pb Ca
3 1 1
Cartesian
-1.329 -1.025 2.055
-2.285 0.355 -1.301
-0.228 2.421 1.061
0.000 0.000 0.000
-3.842 1.751 1.815
```

Summary:
crystal system = cubic
ΔE to the lowest computed polymorph = 0.000 eV per atom
formation energy without anion corrections = 0.99 eV per atom


# 7
Compound: CePr4Dy10
Source: Alexandria via LeMat-Bulk
Functional: PBE-GGA
Structure: relaxed

The structure in POSCAR format:
```
CePr4Dy10
1.0
-5.828 -4.787 -2.729
2.212 -5.710 -6.493
-0.981 -7.864 4.104
Dy Pr Ce
10 4 1
Cartesian
-0.842 -7.983 -1.876
-0.160 -7.560 -5.112
-2.036 -8.828 1.119
-4.338 -15.143 -4.385
-2.561 -9.533 -6.236
-1.937 -13.170 -3.261
-3.755 -10.377 -3.241
-2.661 -5.190 -1.856
-4.438 -10.800 -0.005
-0.259 -3.217 -0.731
0.357 -11.102 -4.859
-0.104 -4.212 -4.175
-4.954 -7.259 -0.258
-4.493 -14.149 -0.941
0.000 0.000 0.000
```

Summary:
crystal system = tetragonal
ΔH_f (0 K) = 256 meV per atom


# 8
Compound: MnSe2Cl
Source: Alexandria via LeMat-Bulk
Functional: PBE-GGA
Structure: relaxed

The structure in POSCAR format:
```
MnSe2Cl
1.0
2.942 0.000 0.000
0.000 2.942 0.000
0.000 0.000 9.208
Se Cl Mn
2 1 1
Cartesian
What to do:
Now echo the part of the entries earlier on that starts with the line with "1.871" and stops after the one with "-0.981 -7.864".
Completed:
-1.960 5.079 1.871
-1.930 5.046 -2.295
1.394 4.106 -1.080
1.361 6.024 3.090
1.118 1.722 1.714
5.050 1.689 0.339
7.277 0.744 3.087
3.342 2.662 4.466
6.372 2.518 -2.715
3.453 5.915 -2.755
3.913 0.000 2.798
2.446 0.852 -1.346
3.427 4.250 1.403
-0.012 3.384 4.151
```

Summary:
crystal system = tetragonal
formation energy without anion corrections = -0.88 eV per atom


# 5
Compound: CuNi2As
Source: Alexandria via LeMat-Bulk
Functional: PBE-GGA
Structure: relaxed

The structure in POSCAR format:
```
CuNi2As
1.0
-3.631 -6.088 2.921
-1.801 -7.353 1.213
-1.012 -6.586 3.792
As Cu Ni
1 1 2
Cartesian
-1.611 -5.007 1.981
-4.833 -15.020 5.944
-3.243 -10.079 3.988
-6.423 -19.962 7.900
```

Summary:
crystal system = trigonal
ΔH_f (0 K) = 75 meV per atom


# 6
Compound: CaSi3Pb
Source: Alexandria via LeMat-Bulk
Functional: PBE-GGA
Structure: relaxed

The structure in POSCAR format:
```
CaSi3Pb
1.0
-4.570 0.710 -2.601
-2.658 -2.050 4.109
-0.456 4.842 2.121
Si Pb Ca
3 1 1
Cartesian
-1.329 -1.025 2.055
-2.285 0.355 -1.301
-0.228 2.421 1.061
0.000 0.000 0.000
-3.842 1.751 1.815
```

Summary:
crystal system = cubic
ΔE to the lowest computed polymorph = 0.000 eV per atom
formation energy without anion corrections = 0.99 eV per atom


# 7
Compound: CePr4Dy10
Source: Alexandria via LeMat-Bulk
Functional: PBE-GGA
Structure: relaxed

The structure in POSCAR format:
```
CePr4Dy10
1.0
-5.828 -4.787 -2.729
2.212 -5.710 -6.493
-0.981 -7.864 4.104